-- Assignment --
Copy all of the data further down verbatim.
-- Excerpt --
- - -
[1]
This entry pairs a crystal structure of KZr4Br with its calculated X-ray powder pattern. Radiation: λ = 1.5418 Å (Cu Kα). Structure: a cell relaxed with PBE.

a b c (Å): 8.754 8.754 8.754
angles (deg): 90.00 90.00 90.00
Space group F-43m (No. 216)
Inequivalent atoms, fractional coordinates:
K 0.000 0.000 0.000
Zr 0.130 0.130 0.630
Br 0.250 0.250 0.250

Principal peaks in the range 10° ≤ 2θ ≤ 80°, in order of falling intensity:
d_spacing, I (rel.), index
2.639, 100, 3 1 1
2.527, 55, 2 2 2
1.685, 35, 5 1 1
1.548, 30, 4 4 0
5.054, 24, 1 1 1
1.320, 20, 6 2 2
3.095, 16, 2 2 0
2.189, 12, 4 0 0
1.335, 11, 5 3 3
2.008, 8, 3 3 1

***

[2]
This entry pairs a crystal structure of TbMgNiGe2 with its calculated X-ray powder pattern. Radiation: λ = 1.5418 Å (Cu Kα). Structure: a cell relaxed with PBE.

a b c (Å): 5.498 5.769 5.768
angles (deg): 90.00 90.00 90.00
Space group Pmma (No. 51)
Inequivalent atoms, fractional coordinates:
Tb 0.250 0.000 0.238
Mg 0.250 0.500 0.379
Ni 0.000 0.500 0.000
Ge 0.250 0.231 0.762

Principal peaks in the range 10° ≤ 2θ ≤ 80°, in order of falling intensity:
d_spacing, I (rel.), index
2.336, 100, 1 2 1
1.990, 40, 2 0 2
2.580, 38, 0 1 2
3.276, 35, 1 1 1
2.884, 29, 0 0 2
2.482, 28, 2 1 0
2.749, 27, 2 0 0
5.769, 27, 0 1 0
1.494, 24, 3 2 1
1.731, 24, 1 3 1
- - -
-- Reply --
[1]
This entry pairs a crystal structure of KZr4Br with its calculated X-ray powder pattern. Radiation: λ = 1.5418 Å (Cu Kα). Structure: a cell relaxed with PBE.

a b c (Å): 8.754 8.754 8.754
angles (deg): 90.00 90.00 90.00
Space group F-43m (No. 216)
Inequivalent atoms, fractional coordinates:
K 0.000 0.000 0.000
Zr 0.130 0.130 0.630
Br 0.250 0.250 0.250

Principal peaks in the range 10° ≤ 2θ ≤ 80°, in order of falling intensity:
d_spacing, I (rel.), index
2.639, 100, 3 1 1
2.527, 55, 2 2 2
1.685, 35, 5 1 1
1.548, 30, 4 4 0
5.054, 24, 1 1 1
1.320, 20, 6 2 2
3.095, 16, 2 2 0
2.189, 12, 4 0 0
1.335, 11, 5 3 3
2.008, 8, 3 3 1

***

[2]
This entry pairs a crystal structure of TbMgNiGe2 with its calculated X-ray powder pattern. Radiation: λ = 1.5418 Å (Cu Kα). Structure: a cell relaxed with PBE.

a b c (Å): 5.498 5.769 5.768
angles (deg): 90.00 90.00 90.00
Space group Pmma (No. 51)
Inequivalent atoms, fractional coordinates:
Tb 0.250 0.000 0.238
Mg 0.250 0.500 0.379
Ni 0.000 0.500 0.000
Ge 0.250 0.231 0.762

Principal peaks in the range 10° ≤ 2θ ≤ 80°, in order of falling intensity:
d_spacing, I (rel.), index
2.336, 100, 1 2 1
1.990, 40, 2 0 2
2.580, 38, 0 1 2
3.276, 35, 1 1 1
2.884, 29, 0 0 2
2.482, 28, 2 1 0
2.749, 27, 2 0 0
5.769, 27, 0 1 0
1.494, 24, 3 2 1
1.731, 24, 1 3 1